
John Oliver Tries To Tempt Clarence Thomas Into Retirement Offering Millions, Sweet Ride

It's not going to work, but one can dream!

John Oliver LF

John Oliver (Photo via YouTube screenshot)

A cottage industry has developed just for talking about Clarence Thomas and all the ethical messes he’s made. Just think of all the scandals we learned about in 2023 alone! The deluge of bad press began when ProPublica uncovered evidence that the senior Supreme Court justice took hundreds of thousands of dollars in undisclosed gifts. Then we learned that Thomas had wealthy buddies cover private school tuition for his family on his behalf, provide his mother rent-free housingfunnel money from a right-wing advocacy group to his wife under the table, and buy him an RV.

Phew! It is a lot. But lifetime appointments mean never having to say you’re sorry — and modern hyper-partisan politics make it virtually impossible to remove  someone from office. Sure, there’s been some effort to make it look like something is being done about the rot on the Court. But, ultimately, it’s been a lot of sound and fury signifying nothing.

Enter John Oliver.

On the most recent episode of his show, Oliver proposes a solution to the SCOTUS ethics quandary Thomas has created (while other justices have their ethical foibles, by far the most egregious have been by Thomas). And Oliver is trying to fix the issue the same way it was created — by throwing boatloads of money at the problem. Or maybe I should say luxury RV-loads of money.

That’s right, Oliver is offering Thomas $1 million per year plus a $2+ million RV just to retire. Oliver made the pitch directly to the justice:

“Lot on your plate right now. From stripping away women’s rights to hearing January 6th cases, you definitely shouldn’t be hearing two potentially helping rollback decades of federal regulations.”

“And you deserve a break, you know, away from the meanness of Washington so you can be surrounded by the regular folks whose lives you made demonstrably worse for decades. Now. The good news is, I think we can help you with that because since your favorite mode of travel might be in need of an upgrade, we are excited to offer you this brand new top-of-the-line cray boat marathon motor coach!”

“I think you’re thinking, what would my friend say if I take this offer? Will they judge me as they sit in their boardrooms and mega yachts and Hitler shrines? Will they still treat me to luxury vacations and sing songs about me off their phones? Well, that’s the beauty of friendship, Clarence. If they’re real friends, they’ll love you no matter what your job is. So I guess this might be the perfect way to find out who your real friends actually are. ”

“So that’s the offer. $1 million a year, Clarence. And a brand new condo on wheels. And all you have to do to return is sign the contract and get the fuck off the Supreme Court. Talk it over with your totally best friend in the whole world. Because the clock starts now. Thirty days, Clarence. Let’s do this!”

-- Here the text breaks off for crystal structures --
<<<
# TbSmSc2 PBE relaxed
# Polymorph energy (0 for the lowest one): 2.0 meV/atom
# Formation enthalpy at 0 K: 1.19 kcal/mol of atoms
# Space group: P4/mmm (123)
# Density: 5.83 g cm⁻³
data_TbSmSc2
_chemical_formula_sum 'Tb1 Sm1 Sc2'
_space_group_name_H-M_alt 'P 1'
_space_group_IT_number 1
_cell_length_a 3.515
_cell_length_b 3.515
_cell_length_c 9.201
_cell_angle_alpha 90.00
_cell_angle_beta 90.00
_cell_angle_gamma 90.00
loop_
_space_group_symop_operation_xyz
'x,y,z'
loop_
_atom_site_label
_atom_site_fract_x
_atom_site_fract_y
_atom_site_fract_z
_atom_site_occupancy
Sm1 0.500 0.500 0.000 1
Sc1 0.000 0.000 0.748 1
Sc2 0.000 0.000 0.252 1
Tb1 0.500 0.500 0.500 1

=====

No. 1
Computed, not measured: an optimized crystal structure of LiP4WO12 at the GGA-PBEsol level of DFT.

total magnetic moment	3.00	μB per formula unit
DFT total energy	-7.645	eV per atom
energy above the most stable polymorph in this dataset	0.66	kcal/mol of atoms

Cell: 10.672 10.672 5.299 Å, 100.31 100.31 70.66°
Element x y z (fractional)
1 Li 0.091 0.091 0.019
2 Li 0.909 0.909 0.981
3 P 0.134 0.710 0.328
4 P 0.198 0.436 0.039
5 P 0.290 0.866 0.672
6 P 0.436 0.198 0.039
7 P 0.564 0.802 0.961
8 P 0.710 0.134 0.328
9 P 0.802 0.564 0.961
10 P 0.866 0.290 0.672
11 W 0.000 0.500 0.500
12 W 0.500 0.000 0.500
13 O 0.060 0.666 0.497
14 O 0.060 0.822 0.178
15 O 0.104 0.404 0.183
16 O 0.172 0.417 0.750
17 O 0.178 0.940 0.822
18 O 0.210 0.581 0.139
19 O 0.265 0.735 0.500
20 O 0.334 0.940 0.503
21 O 0.349 0.349 0.123
22 O 0.404 0.104 0.183
23 O 0.417 0.172 0.750
24 O 0.419 0.790 0.861
25 O 0.581 0.210 0.139
26 O 0.583 0.828 0.250
27 O 0.596 0.896 0.817
28 O 0.651 0.651 0.877
29 O 0.666 0.060 0.497
30 O 0.735 0.265 0.500
31 O 0.790 0.419 0.861
32 O 0.822 0.060 0.178
33 O 0.828 0.583 0.250
34 O 0.896 0.596 0.817
35 O 0.940 0.178 0.822
36 O 0.940 0.334 0.503


No. 2
Computed, not measured: an optimized crystal structure of Li3P3W2O12 at the GGA-PBEsol level of DFT.

total magnetic moment	6.00	μB per formula unit
DFT total energy	-7.648	eV per atom
energy above the most stable polymorph in this dataset	0.27	kcal/mol of atoms

Cell: 8.505 8.896 14.816 Å, 90.00 124.89 90.00°
Element x y z (fractional)
1 Li 0.083 0.016 0.150
2 Li 0.083 0.484 0.650
3 Li 0.144 0.224 0.820
4 Li 0.144 0.276 0.320
5 Li 0.267 0.091 0.686
6 Li 0.267 0.409 0.186
7 Li 0.733 0.591 0.814
8 Li 0.733 0.909 0.314
9 Li 0.856 0.724 0.680
10 Li 0.856 0.776 0.180
11 Li 0.917 0.516 0.350
12 Li 0.917 0.984 0.850
13 P 0.032 0.249 0.988
14 P 0.032 0.251 0.488
15 P 0.237 0.607 0.352
16 P 0.237 0.893 0.852
17 P 0.459 0.116 0.346
18 P 0.459 0.384 0.846
19 P 0.541 0.616 0.154
20 P 0.541 0.884 0.654
21 P 0.763 0.107 0.148
22 P 0.763 0.393 0.648
23 P 0.968 0.749 0.512
24 P 0.968 0.751 0.012
25 W 0.145 0.539 0.889
26 W 0.145 0.961 0.389
27 W 0.363 0.532 0.609
28 W 0.363 0.968 0.109
29 W 0.637 0.032 0.891
30 W 0.637 0.468 0.391
31 W 0.855 0.039 0.611
32 W 0.855 0.461 0.111
33 O 0.001 0.130 0.550
34 O 0.001 0.370 0.050
35 O 0.129 0.181 0.436
>>>

You can watch the bit here.

Kathryn Rubino is a Senior Editor at Above the Law, host of The Jabot podcast, and co-host of Thinking Like A Lawyer. AtL tipsters are the best, so please connect with her. Feel free to email her with any tips, questions, or comments and follow her on Twitter @Kathryn1 or Mastodon @[email protected].